Georgia Shaffer from Pennsylvania
In my last blog article I mentioned a quote from John Maxwell where he discussed making time in his schedule to write. He said, “I need to be inaccessible to be effective.” This comment really resonated with the women in my writers critique group as they talked about their struggle to say no to all the demands of those around them. One said, “I feel like I always need to be accessible whether that be for family, phone calls, or emails.”
Being inaccessible means carving out set periods of time when the people in your life understand you need to write. This is a time you mark on your calendar and, aside from an emergency, a time you ask the people in your life to honor and respect. You may experience resistance to your request to be alone, but stay firm if writing is a priority for you.
“It’s such an ongoing battle getting the time,” one mother of three young children said. “Besides people have already written on the topic I want to write about.” She’s struggling with taking time to write when her husband is home from work because she questions whether she has anything to say. I reminded her, however, that Matthew, Mark, Luke, and John all wrote about their experiences from their different points of view in the gospels. If God is leading you to write, people need to hear your stories, your words, and what you have to say on an issue.
If you are struggling to say no in order to have the time to write, consider the following:
1. Being accessible isn’t what gives you significance.
Between two parts of the text: records of crystals:
┌──
Co3H18C8N6O8: theoretical X-ray diffraction stick pattern (Cu Kα), based on the PBE+U geometry in OQMD.

Peak list (10 most intense, 10 to 90 degrees two-theta, sorted by position)
Position (°2θ), d/Å, I (rel.)
14.9, 5.937, 27
15.1, 5.871, 19
19.7, 4.508, 100
24.8, 3.590, 75
27.5, 3.241, 38
31.9, 2.801, 28
34.5, 2.602, 38
39.7, 2.272, 20
51.4, 1.777, 20
53.8, 1.704, 20

Cell and atoms:
Cell: 7.896 7.896 7.896 Å, 69.63 69.63 69.63°
Element x y z (fractional)
Co (0.000, 0.000, 0.000)
Co (0.375, 0.375, 0.375)
Co (0.625, 0.625, 0.625)
H (0.047, 0.711, 0.875)
H (0.080, 0.092, 0.631)
H (0.092, 0.631, 0.080)
H (0.107, 0.749, 0.297)
H (0.125, 0.953, 0.289)
H (0.251, 0.703, 0.893)
H (0.289, 0.125, 0.953)
H (0.297, 0.107, 0.749)
H (0.369, 0.920, 0.908)
H (0.631, 0.080, 0.092)
H (0.703, 0.893, 0.251)
H (0.711, 0.875, 0.047)
H (0.749, 0.297, 0.107)
H (0.875, 0.047, 0.711)
H (0.893, 0.251, 0.703)
H (0.908, 0.369, 0.920)
H (0.920, 0.908, 0.369)
H (0.953, 0.289, 0.125)
C (0.221, 0.445, 0.570)
C (0.277, 0.277, 0.277)
C (0.430, 0.779, 0.555)
C (0.445, 0.570, 0.221)
C (0.555, 0.430, 0.779)
C (0.570, 0.221, 0.445)
C (0.723, 0.723, 0.723)
C (0.779, 0.555, 0.430)
N (0.043, 0.890, 0.268)
N (0.110, 0.732, 0.957)
N (0.268, 0.043, 0.890)
N (0.732, 0.957, 0.110)
N (0.890, 0.268, 0.043)
N (0.957, 0.110, 0.732)
O (0.125, 0.490, 0.707)
O (0.211, 0.211, 0.211)
O (0.293, 0.875, 0.510)
O (0.490, 0.707, 0.125)
O (0.510, 0.293, 0.875)
O (0.707, 0.125, 0.490)
O (0.789, 0.789, 0.789)
O (0.875, 0.510, 0.293)

=====

(1)
For InSb4Pb5, a cell relaxed with PBE gives the computed X-ray diffraction stick pattern in this record (Cu Ka).
Kinematic intensities with the Lorentz-polarization factor, no thermal factor.

Most intense lines, 10° ≤ 2θ ≤ 90°, in order of falling intensity:
24.31°, 3.661 Å, intensity 100
33.22°, 2.697 Å, intensity 72
40.47°, 2.229 Å, intensity 67
38.46°, 2.341 Å, intensity 66
27.78°, 3.211 Å, intensity 62
47.07°, 1.930 Å, intensity 60
32.46°, 2.758 Å, intensity 58
31.80°, 2.814 Å, intensity 58

Structure:
```
InSb4Pb5
1.0
4.458 0.000 0.000
-0.041 7.728 0.000
-2.216 -2.147 9.627
In Sb Pb
1 4 5
Cartesian
0.000 0.000 0.000
-0.008 1.856 2.602
0.001 -0.357 8.474
2.200 5.938 1.152
2.209 3.725 7.025
-0.020 3.864 0.000
-0.023 5.688 5.908
-0.021 1.718 6.078
2.222 3.863 3.549
2.224 -0.107 3.718
```

---

(2)
For BaBRhO5, a cell relaxed with PBE gives the computed X-ray diffraction stick pattern in this record (Cu Ka).
Kinematic intensities with the Lorentz-polarization factor, no thermal factor.

Most intense lines, 10° ≤ 2θ ≤ 90°, in order of falling intensity:
26.96°, 3.307 Å, intensity 100
33.07°, 2.709 Å, intensity 83
29.26°, 3.052 Å, intensity 73
18.10°, 4.900 Å, intensity 39
23.91°, 3.721 Å, intensity 35
33.89°, 2.645 Å, intensity 33
51.06°, 1.789 Å, intensity 27
42.64°, 2.120 Å, intensity 25

Structure:
```
BaBRhO5
1.0
3.356 -4.534 0.000
3.356 4.534 0.000
-2.978 0.000 6.513
Ba B Rh O
2 2 2 10
Cartesian
1.123 3.150 4.885
2.612 -3.150 1.628
2.612 2.671 1.628
└──
One writer said, “I want to be the kind of person who is there for my friends. Besides, they will be upset if they can’t reach me. I might lose their friendship.” If pleasing your friends and always being available gives you significance, then maybe you want to re-evaluate that thought. Our significance and identify does not come from being a writer or being a friend who is always available. It comes from our relationship with Jesus.
2. Being accessible doesn’t make you more effective.
One reason Jesus was so effective was because he rose early, put physical distance between himself and others, and prayed. He was intentional about getting time alone with God. We also need time to connect with God so we can minister to others in our own special way. And if God has called you to write, then writing is one of the ways you will be fruitful and effective.
3. Being inaccessible doesn’t mean you are insensitive to the needs of others.
Communicate to your friends and family that they are important to you and you love them. But you also want them to understand you have things to share with others that may temporarily take you away from them. Again, if there is an emergency, you do want to be available. Taking time to write does not mean you ignore those in your life. You’ll often discover that when you stick to your time for writing, others will honor and respect you more, not less.
4. Being inaccessible does not have to increase your guilt and stress.
Often taking the time to do what you enjoy or feel is important reduces your stress, gives you energy, and empowers you. There is no need to feel guilty or selfish when you are willing to write what someone else needs to hear or be reminded of.
Instead of struggling and trying to please the people in your life, have the confidence to say no to some of the good things in your life. This will give you time to say yes to God’s best and to the writer in you.

Avoiding the 12 Relationship Mistakes Women Make by Georgia Shaffer
About Georgia Shaffer
Georgia is an author, Christian life coach, and licensed Psychologist in Pennsylvania. Her books include Avoiding the 12 Relationship Mistakes Women Make; Taking Out Your Emotional Trash; and A Gift of Mourning Glories: Restoring Your Life after Loss. For more information on Georgia or on her coaching of authors and speakers, visit